Tasks page

____________
{
  "formula": "TcOsAu2",
  "functional": "GGA-PBE",
  "state": "relaxed",
  "n_ef_per_ev_atom": 0.8057,
  "space_group": "Cm",
  "de_polymorph_mev_per_atom": 256,
  "formation_energy_ev_per_atom": 0.43,
  "dft_energy_ev_per_atom": -6.61,
  "cell": [[-2.782, 2.806, -2.845], [-4.375, 0.658, -2.032], [-2.063, 2.863, 3.523]],
  "species": ["Tc", "Os", "Au", "Au"],
  "frac_coords": [[0.242, 0.242, 0.280], [0.507, 0.507, 0.471], [0.997, 0.997, 0.993], [0.754, 0.754, 0.756]]
}


# NdEr2C PBE optimized geometry
data_NdEr2C
_cell_length_a 3.5110
_cell_length_b 3.5110
_cell_length_c 29.3435
_cell_angle_alpha 90.00
_cell_angle_beta 90.00
_cell_angle_gamma 120.00
_symmetry_space_group_name_H-M 'R -3 m'
_symmetry_Int_Tables_number 166
_symmetry_space_group_name_Hall '-R 3 2"'
loop_
_atom_site_label
_atom_site_fract_x
_atom_site_fract_y
_atom_site_fract_z
Nd1 0.0000 0.0000 0.0000
Er1 0.0000 0.0000 0.1213
C1 0.0000 0.0000 0.5000
# energy above the most stable polymorph in this dataset: 80 meV per atom

=====

# NdEr2C PBE optimized geometry
data_NdEr2C
_cell_length_a 3.5661
_cell_length_b 3.5661
_cell_length_c 27.6027
_cell_angle_alpha 90.00
_cell_angle_beta 90.00
_cell_angle_gamma 120.00
_symmetry_space_group_name_H-M 'R 3 m'
_symmetry_Int_Tables_number 160
_symmetry_space_group_name_Hall 'R 3 -2"'
loop_
_atom_site_label
_atom_site_fract_x
_atom_site_fract_y
_atom_site_fract_z
Nd1 0.0000 0.0000 0.0000
Er1 0.0000 0.0000 0.5470
Er2 0.0000 0.0000 0.7837
C1 0.0000 0.0000 0.1649
# energy above the most stable polymorph in this dataset: 0 meV per atom

=====

A geometry-optimized Nd3ErC structure, computed with PBE.

```
data_Nd3ErC
_cell_length_a 5.2279
_cell_length_b 5.2279
_cell_length_c 5.2279
_cell_angle_alpha 90.00
_cell_angle_beta 90.00
_cell_angle_gamma 90.00
_symmetry_space_group_name_H-M 'P m -3 m'
_symmetry_Int_Tables_number 221
_symmetry_space_group_name_Hall '-P 4 2 3'
loop_
_atom_site_label
_atom_site_fract_x
_atom_site_fract_y
_atom_site_fract_z
Nd1 0.0000 0.0000 0.5000
Er1 0.5000 0.5000 0.5000
C1 0.0000 0.0000 0.0000
```

=====

A geometry-optimized NdErC2 structure, computed with PBE.

```
data_NdErC2
_cell_length_a 3.6715
_cell_length_b 3.6715
_cell_length_c 17.8951
_cell_angle_alpha 90.00
_cell_angle_beta 90.00
_cell_angle_gamma 120.00
_symmetry_space_group_name_H-M 'R -3 m'
_symmetry_Int_Tables_number 166
_symmetry_space_group_name_Hall '-R 3 2"'
loop_
_atom_site_label
_atom_site_fract_x
_atom_site_fract_y
_atom_site_fract_z
Nd1 0.0000 0.0000 0.0000
Er1 0.0000 0.0000 0.5000
C1 0.0000 0.0000 0.2447
```

=====

A geometry-optimized Nd3ErC8 structure, computed with PBE.

```
data_Nd3ErC8
_cell_length_a 7.2640
_cell_length_b 7.2640
_cell_length_c 7.6391
_cell_angle_alpha 90.00
_cell_angle_beta 90.00
_cell_angle_gamma 90.00
_symmetry_space_group_name_H-M 'I -4 2 m'
_symmetry_Int_Tables_number 121
_symmetry_space_group_name_Hall 'I -4 2'
loop_
_atom_site_label
_atom_site_fract_x
_atom_site_fract_y
_atom_site_fract_z
Nd1 0.0000 0.0000 0.0000
____________

Overview of the Tasks page.

The tasks page contains elements and each of them relates to a separate task. They are sorted in creation order. Each element contains: task name, preview, progress bar, button Open, and menu Actions. Each button is responsible for a in menu Actions specific function:

  • Export task dataset — download annotations or annotations and images in a specific format. More information is available in the export/import datasets section.
  • Upload annotation upload annotations in a specific format. More information is available in the export/import datasets section.
  • Automatic Annotation — automatic annotation with OpenVINO toolkit. Presence depends on how you build the CVAT instance.
  • Backup task — make a backup of this task into a zip archive. Read more in the backup section.
  • Move to project — Moving a task to a project (can be used to move a task from one project to another). Note that attributes reset during the moving process. In case of label mismatch, you can create or delete necessary labels in the project/task. Some task labels can be matched with the target project labels.
  • Delete — delete task.

In the upper left corner there is a search bar, using which you can find the task by assignee, task name etc. In the upper right corner there are sorting, quick filters and filter.


Applying filter disables the quick filter.

The filter works similarly to the filters for annotation, you can create rules from properties, operators and values and group rules into groups. For more details, see the filter section. Learn more about date and time selection.

Attached: crystal structures.
/*
Compound: Pm6Ho5Sc
Source: Alexandria via LeMat-Bulk
Functional: GGA-PBE
Structure: optimized geometry

Cell: 9.436 9.436 9.436 Å, 148.83 116.10 72.81°
Sites, in units of the cell vectors:
Pm 0.082 0.334 0.748
Pm 0.246 0.000 0.246
Pm 0.413 0.666 0.748
Pm 0.587 0.334 0.252
Pm 0.754 0.000 0.754
Pm 0.918 0.666 0.252
Ho 0.166 0.166 0.000
Ho 0.334 0.834 0.500
Ho 0.500 0.500 0.000
Ho 0.666 0.166 0.500
Ho 0.834 0.834 0.000
Sc 0.000 0.500 0.500

* energy relative to the elements: 0.025 eV per atom
* M_tot: 0.00 μB/cell


VASP calculation (PBE-GGA) on a geometry-optimized FeTcAsBr2 structure.

Summary:
**Offset from the most stable computed form**: 0.090 eV per atom
**Total magnetization**: 6.2 μB per formula unit
**ρ**: 5.529 g/cm3
**Final energy**: -22.1 eV per cell
**Fermi-level density of states**: 1.48 states/eV/atom
**Raw formation energy**: 0.954 eV per atom

Cell lengths 5.029, 5.029, 4.615 Å; angles 90.00, 90.00, 90.00 degrees
Space group P4/mmm (No. 123)
Asymmetric unit:
Fe  0.000  0.000  0.000 x1
Tc  0.500  0.500  0.500 x1
As  0.000  0.000  0.500 x1
Br  0.000  0.500  0.000 x2
*/
The crystal structures stop here.

For clear all filters press Clear filters.

Supported properties for tasks list

Properties Supported values Description
Dimension 2D or 3D Depends on the data format
(read more in creating an annotation task)
Status annotation, validation or completed
Data video, images Depends on the data format
(read more in creating an annotation task)
Subset test, train, validation or custom subset [read more] [subset]
Assignee username Assignee is the user who is working on the project, task or job.
(is specified on task page)
Owner username The user who owns the project, task, or job
Last updated last modified date and time (or value range) The date can be entered in the dd.MM.yyyy HH:mm format
or by selecting the date in the window that appears
when you click on the input field
ID number or range of job ID
Project ID number or range of project ID
Name name On the tasks page - name of the task,
on the project page - name of the project
Project name project name Specified when creating a project,
can be changed on the (project section)

Push Open button to go to task details.